Bremen, December 3, 2018. Starting today, a square in Bremen commemorates the life and work of the entrepreneur Manfred Fuchs, who died in 2014 and who, together with his wife Christa and son Marco, established OHB and made it internationally known. Manfred Fuchs Square, whose street sign was unveiled this morning, is located directly in front of OHB’s headquarters at the University Technology Park. This was also the venue of the ground-breaking ceremony held today for a new OHB production facility for space projects. The family, friends and a number of employees were joined by Bremen politicians and celebrities as well as representatives of space institutions at this double event.
The ground-breaking ceremony
After words of welcome by OHB CEO Marco Fuchs in the foyer of the company’s headquarters and a greeting by Bremen Mayor Carsten Sieling, the roughly 100 guests proceeded to the nearby building site, which has an area of 2,800 square meters and is to accommodate a five-storey building, when the construction project is completed by spring 2020. In the new building, satellite projects will be designed and implemented in the ISO 8* clean room measuring 1,000 meters in area as well various integration areas and office facilities with a combined floor area of around 1,500 square meters. This project reflects OHB System AG’s business success and steady growth. In addition, it testifies once again to the deep roots that the Fuchs family has in Bremen.
“Today’s groundbreaking ceremony for the OHB Group’s largest cleanroom fills me with great pride. The fact that it is necessary reflects the outstanding quality that our employees deliver with each and every product - after all, successful projects are the best recommendation for future business,” says Marco Fuchs, CEO of OHB SE and OHB System AG. “In a few years’ time, further OHB satellites will be built here featuring applications or generating data that will directly or indirectly benefit people in Europe and around the world.
At the symbolic ground-breaking ceremony, Mr. Fuchs was joined by Bremen’s Mayor Sieling, the Senator for Economics, Labour and Ports of the Free Hanseatic City of Bremen, Martin Günthner. members of the Bundestag Sarah Ryglewski and Andreas Mattfeld as well as Architect Arne Schlichtmann, from architectural office Kaars Schlichtmann Planungsgesellschaft in Bremen.
PLATO the name sake
The new building complex is to be called PLATO, this also being also a symbolic act as it marks the commissioning of OHB System AG by the European Space Agency ESA as the main industrial contractor for its next major scientific mission PLATO. “PLATO will be searching for answers to the time-old question as to whether a second earth exists in the universe. It will be concentrating on earth-like planets that orbit around other stars that are similar to our sun in the habitable zone,” explains Marco Fuchs. “The 26 cameras fitted to the satellite will be observing a large part of the hemisphere and capable of detecting even very small regular light losses that occur when planets fly past a star, briefly covering part of the starlight.”
The “place of honor”
The next stop was the area directly in front of OHB’s headquarters, which had been renamed Manfred Fuchs Square following the ceremonial unveiling of the street sign by the head of Bremen’s quarter Horn-Lehe local authority, Inga Köstner and Mayor Sieling.
“This is a wonderful tribute to the life’s work of my late husband, for which I am deeply grateful. I am very touched by the fact that a square directly in front of the the company headquarters, where he worked for decades, has been named in his honor. My hope is that Manfred Fuchs Square will be a lively and cheerful place where people like to meet, as this is exactly what my husband would have wanted,” said company founder Christa Fuchs.
Life and work of Manfred Fuchs
Prof. Dott.-Ing. h.c. Manfred Fuchs passed away completely unexpectedly at his holiday home in Altenburg/Kaltern, South Tyrol, in April 2014 at the age of 75 years. Manfred Fuchs was born in 1938 in Latsch, South Tyrol, and became Italy’s youngest pilot at the age of 17. He moved to Germany when he was 18. After studying aircraft engineering in Munich and Hamburg, Manfred Fuchs was a man of the first hour at Entwicklungsring Nord (ERNO) at the beginning of the 1960s. Among other things, he worked on designs for the Europa rocket and was later lauded as the initiator of the Columbus program.
In 1985 he joined his wife Christa’s company Otto Hydraulik Bremen (OHB) and embarked on a new course in space travel. Most recently, Manfred Fuchs was Chief Space Officer at OHB AG, and Chairman of the Supervisory Board of OHB System AG. He was known, recognized and appreciated as an entrepreneur and space expert far beyond the borders of Germany, holding numerous honorary positions. Starting today, Manfred Fuchs Square in Bremen commemorates his life and entrepreneurial activities as does Manfred Fuchs Street in Oberpfaffenhofen, Bavaria, which leads to OHB System AG’s headquarters in that town.
* The ISO 8 purity class stipulates that acubic meter of air may contain only a maximum of 30,000 particles that are larger than 5 micrometers in size. One micrometer corresponds to one millionth of a meter; by contrast, a single human hair is 50 micrometers thick.
Contact for media representatives:
Marianne Radel
Head of Corporate Communications
Phone: +49 421 2020 9159
Email: marianne.radel@ohb.de
Contact for investors and analysts:
Marcel Dietz
Investor Relations
********
The following is a quantum chemistry calculation of a cluster of 2 separate species, Cl2HO2P in total, from OMol25.

Each line ends with the Löwdin charge.
CARTESIAN COORDINATES (ANGSTROEM)
O -1.5839 1.5392 0.1497  -0.75
O 0.9248 -1.0895 -0.0031  -1.07
P 1.2351 0.4849 0.1955  0.78
Cl -2.4124 0.3490 -0.4989  0.57
Cl 0.6033 -2.0541 1.3586  0.58
H 1.2332 0.7705 -1.2018  -0.11

Computed properties:
Energy above the lowest of the compared OMol25 structures with the same formula, charge and spin, eV: 5.227
E_LUMO (alpha / beta), eV: -1.1 / -2.1
HOMO-LUMO gap (alpha / beta), eV: 9.19 / 6.14

The following is a quantum chemistry calculation of the ion C5H8N3O2 with charge -1, from OMol25.

Each line ends with the Löwdin charge.
CARTESIAN COORDINATES (ANGSTROEM)
C -2.5479 -0.6446 -0.4504  -0.05
C -1.2570 0.1584 -0.0341  -0.23
C -1.2674 1.4977 0.2783  -0.09
N -1.7502 2.5356 0.4851  -0.11
O -1.9847 3.6587 1.0249  -0.18
C -0.0864 -0.5510 0.2070  -0.49
O -0.0528 -1.8135 0.3011  -0.07
N 0.9897 0.2407 0.5997  -0.23
C 1.4957 1.5490 0.1121  -0.06
N 2.0501 -0.5348 0.9686  0.00
H -2.9721 -0.1869 -1.4065  0.07
H -3.3387 -0.4790 0.2664  0.05
H -2.1133 -1.5708 -0.7034  0.03
H 1.8062 2.0287 0.9850  0.04
H 2.4008 1.5055 -0.6735  0.11
H 0.5651 2.0882 -0.2181  0.07
H 1.6562 -1.5135 0.8191  0.08
H 2.0997 -0.4820 1.9731  0.06

Computed properties:
Charge: -1
Energy above the lowest of the compared OMol25 structures with the same formula, charge and spin, eV: 2.318
E_LUMO, eV: 3.9
HOMO-LUMO gap, eV: 6.65

The following is a quantum chemistry calculation of a structure of composition C30H26IrN3P2S2Se2, from OMol25.

Each line ends with the Mulliken spin population.
CARTESIAN COORDINATES (ANGSTROEM)
Ir -0.0723 -1.6712 3.1753  0.62
Se 3.2305 1.5337 -1.6029  0.00
P 1.2942 2.1519 -1.1217  0.00
C 1.1844 3.8894 -0.6566  0.00
C 2.0767 4.3921 0.2911  0.00
C 2.0714 5.7399 0.5931  0.00
C 1.1887 6.5979 -0.0555  0.00
C 0.3027 6.1032 -0.9965  0.00
C 0.2961 4.7465 -1.2973  0.00
C 0.0397 1.9018 -2.3969  0.00
C -1.2889 1.6303 -2.0838  0.00
C -2.2273 1.4854 -3.0969  0.00
C -1.8398 1.6161 -4.4220  0.00
C -0.5163 1.9010 -4.7379  0.00
C 0.4236 2.0435 -3.7303  0.00
C 0.6641 1.2349 0.3229  0.01
C 0.3919 -0.0937 0.5672  -0.03
N 0.1525 -0.1701 1.9156  0.03
N 0.2552 1.0598 2.4443  0.00
N 0.5532 1.8984 1.5175  0.00
P 0.2192 -1.6254 -0.3199  0.01
Se 0.1897 -3.1234 1.3299  0.19
C -1.3948 -1.6871 -1.1039  0.01
C -2.4835 -1.2005 -0.3745  0.00
C -3.7615 -1.3031 -0.8887  0.00
C -3.9631 -1.9031 -2.1279  0.00
C -2.8882 -2.3988 -2.8461  0.00
C -1.6002 -2.2993 -2.3365  0.00
C 1.4932 -1.9876 -1.5033  0.00
C 1.4480 -1.3848 -2.7626  0.00
C 2.4144 -1.6917 -3.7027  0.00
C 3.4330 -2.5777 -3.3863  0.00
C 3.4940 -3.1601 -2.1277  0.00
C 2.5236 -2.8726 -1.1837  0.00
H 2.7772 3.7283 0.7810  0.00
H 2.7615 6.1281 1.3296  0.00
H 1.1995 7.6552 0.1725  0.00
H -0.3847 6.7684 -1.5010  0.00
H -0.4040 4.3672 -2.0295  0.00
H -1.6029 1.5546 -1.0505  0.00
H -3.2590 1.2777 -2.8488  0.00
H -2.5698 1.5026 -5.2123  0.00
********
== The entry goes on ==
Phone: +49 421 2020 6426
Email: ir@ohb.de